• Material:
<<<
Formula: C6H18Ag2FO6
Source: OMol25
Level of theory: wB97M-V/def2-TZVPD

Last column: natural (NBO) charge in e.
Element x y z (Å)
Ag1 16.00 22.25 -9.06  0.940
Ag2 14.49 25.50 -9.71  0.981
F1 16.02 24.00 -10.76  -0.946
C1 14.42 20.95 -14.45  -0.092
C2 14.59 22.20 -13.64  -0.100
O1 14.84 21.99 -12.26  -0.764
O2 13.15 20.36 -14.31  -0.708
H1 15.23 20.23 -14.27  0.175
H2 14.53 21.20 -15.51  0.195
H3 13.66 22.77 -13.73  0.163
H4 15.31 22.87 -14.13  0.169
H5 15.23 22.81 -11.91  0.484
H6 13.02 20.06 -13.40  0.467
C3 19.24 23.01 -9.76  -0.094
C4 18.62 23.96 -8.75  -0.110
O3 17.88 23.22 -7.77  -0.759
O4 18.26 22.21 -10.39  -0.742
H7 19.96 22.35 -9.29  0.206
H8 19.72 23.63 -10.52  0.205
H9 18.02 24.71 -9.28  0.166
H10 19.47 24.46 -8.29  0.200
H11 17.49 23.89 -7.20  0.484
H12 17.69 22.76 -10.93  0.484
C5 17.95 25.23 -13.82  -0.095
C6 16.96 26.13 -13.11  -0.095
O5 17.32 26.36 -11.75  -0.740
O6 18.14 24.03 -13.10  -0.708
H13 18.86 25.83 -13.93  0.185
H14 17.65 25.04 -14.86  0.179
H15 15.97 25.65 -13.14  0.144
H16 16.90 27.12 -13.57  0.204
H17 17.04 25.62 -11.21  0.469
H18 17.38 23.97 -12.52  0.452

Results
Spin multiplicity ... 1
Relative energy (zero: lowest compared OMol25 entry of this formula, charge and spin) ... 110.9 kJ/mol
Charge ... +1
HOMO-LUMO gap ... 0.224 Eh

~~~~~

Entry 1:
C2H4Br2N2O as an isolated structure. Source: the OMol25 dataset; level of theory: the ωB97M-V functional and the def2-TZVPD basis.

* HOMO-LUMO gap: 10.50 eV
* lowest unoccupied orbital energy: 0.33 eV
* highest occupied orbital energy: -10.18 eV
* E_tot: -147250.915 eV
* molar mass: 231.875 g/mol
* relative energy (zero: lowest compared OMol25 entry of this formula, charge and spin): 0.000 eV

CARTESIAN COORDINATES (ANGSTROEM)
Br 2.958223 -1.092319 0.091339
Br 1.902534 1.920377 -0.011899
O 0.105394 -1.585317 -0.408972
N -2.090045 0.082680 -0.538465
N -0.819958 0.436868 -0.057410
C 0.200453 -0.440161 -0.039565
C 1.505127 0.099312 0.558383
H -0.723350 1.408292 0.207340
H -2.475929 -0.667075 0.035627
H 1.440410 0.122966 1.649252
H -2.002854 -0.285620 -1.485625

Atoms 1-3, force components in eV/Å:
Br -0.137 0.263 0.191
Br -0.053 -0.153 0.128
O -0.169 -0.178 -0.052

***

Entry 2:
One molecule with the formula C2H4Br3PS. Source: the OMol25 dataset; level of theory: the ωB97M-V functional and the def2-TZVPD basis.

* HOMO-LUMO gap (spin up / spin down): 7.95 / 7.02 eV
* lowest unoccupied orbital energy (spin up / spin down): -0.91 / -1.91 eV
* highest occupied orbital energy (spin up / spin down): -8.86 / -8.93 eV
* E_tot: -232387.573 eV
* molar mass: 330.807 g/mol
* relative energy (zero: lowest compared OMol25 entry of this formula, charge and spin): 3.503 eV

CARTESIAN COORDINATES (ANGSTROEM)
Br -1.149315 1.971994 0.078638
Br -3.259746 -0.811001 0.576477
Br 2.629740 -0.375443 -0.101972
S 0.069234 -1.123015 0.041802
P -0.735347 0.205475 -1.272016
C 3.251990 0.237757 1.502829
C -2.517941 -0.324026 -1.156695
H 3.059500 1.181256 1.866866
H -2.495034 -1.221416 -1.912145
H 4.191671 -0.204355 1.854620
H -3.044747 0.462777 -1.478404

Atoms 1-3, force components in eV/Å:
Br 0.399 0.631 -0.005
Br 0.182 -0.122 -0.491
Br 0.749 0.623 0.176

***

Entry 3:
A 2-piece molecular cluster, C2H4BrCl overall. Source: the OMol25 dataset; level of theory: the ωB97M-V functional and the def2-TZVPD basis.

* HOMO-LUMO gap (spin up / spin down): 5.85 / 5.85 eV
* lowest unoccupied orbital energy (spin up / spin down): -3.47 / -3.47 eV
* highest occupied orbital energy (spin up / spin down): -9.32 / -9.33 eV
* E_tot: -84700.023 eV
* molar mass: 143.411 g/mol
* relative energy (zero: lowest compared OMol25 entry of this formula, charge and spin): 3.947 eV

CARTESIAN COORDINATES (ANGSTROEM)
Br -1.916212 0.374732 2.520088
Cl 2.123975 0.599129 -1.121371
C 0.005067 -0.745889 0.176056
C 0.304068 0.363199 -0.702663
H -0.385219 0.164052 -1.667450
H 0.199538 1.305680 -0.123105
H 0.563477 -0.811922 0.992807
H -0.894694 -1.248981 -0.074362

Atoms 1-3, force components in eV/Å:
>>>
• Job:
Could you give back only the lines further above with the word "zero" in them?
• Worked solution:
Relative energy (zero: lowest compared OMol25 entry of this formula, charge and spin) ... 110.9 kJ/mol
* relative energy (zero: lowest compared OMol25 entry of this formula, charge and spin): 0.000 eV
* relative energy (zero: lowest compared OMol25 entry of this formula, charge and spin): 3.503 eV
* relative energy (zero: lowest compared OMol25 entry of this formula, charge and spin): 3.947 eV